Fred Salsbury

Fred Salsbury
Graduate Director
Department of Physics
Courses: Mechanics, Intermediate Lab II, General Physics I, Topics in Cancer Biology, Research Topics in Structural & Computational Biophysics
What do you teach and how have you been thinking about artificial intelligence in the context of those courses?
Depending on the semester and year, I teach Phy 262, Mechanics, co-teach Phy 266, Intermediate Lab II, teach Phy 113, General Physics I, which is mostly introductory mechanics, co-teach a week of MCB 723, Topics in Cancer Biology, and organize talks in SCB 710, Research Topics in Structural & Computational Biophysics.
What excites me about AI in general is the potential ability to hand off more mundane and tedious work to AI and focus on the more significant and creative work. However, the border between what is mundane and tedious and significant varies from first-year physics to actual physics research, so I worry that students might jump too far and too fast without careful coaching, and miss out on key foundations, or learn things wrong. This is especially problematic because right now (Feb. 22, 2024), generative AI makes significant mistakes in physical and mathematical reasoning. This is not a surprise, and generally, ChatGPT+ can be talked through the mistakes. The mistakes are usually ones students would make. But then the question is raised, how proficient in science do you have to be to use generative AI to help you in science? I am trying to get some sense of this in Phy 262 this semester, and in general I am cautiously optimistic that in my smaller courses, careful coaching can occur.
Has the development of generative AI changed how you teach?
I have started exploring its use in Phy 262, Mechanics, which is required for biophysics and physics majors, and an elective for engineering majors. First, I’ve given them explicit permission to use generative AI in brainstorming ideas for their WakerSpace Project, which started at the beginning of the semester. I will ask them about their usage of this at the end of the semester. Second, this course introduces them to computation in physics, and right before Spring Break they have a Friday where they are asked to computationally model the simple pendulum and look at its harmonic and anharmonic behavior. By then they don’t need any code examples, just the questions. So in addition, they will have an assignment to use ChatGPT to do the same modeling and assess: could they get it to do it correctly; how hard was it; and could they have used ChatGPT to model it when they were more novice in computation or mechanics as they were at the beginning of the semester? Was it easier or harder than doing it themselves, and what do they think about its utility in modeling physical systems. Then the Friday after Spring Break we will get together and discuss in small groups and they will write up their report.
Also, in the team-taught MCB 723, Topics in Cancer Biology, I will have a lecture where I will be talking, in part, on Generative AI in Drug Discovery.
Post-spring-break update and takeaway on the Phy 262 assignment:
Here you’ll find the uploaded problem they were to replicate, and all the redacted reports. They were warned the redacted assignments would be shared broadly. The best four are labeled A, B, C, D, and the rest are numbered.
One thing I noticed during class is an extreme gender difference; granted this class is small with only 4 women and 8 men. With that caveat, the women overall seem to be far more engaged in asking questions of chatgpt, conversing by asking for clarifications, and being genuinely curious about chatgpt. They seemed to be enjoying themselves. Most of the women also explored other uses in class — such as asking for practice problems for a test.
The consensus from the reports seems to be use with caution: as the physics will often be not quite right, the codes not exactly what is asked for at first, but would be useful for debugging, when stuck, or to explain why particular pieces of codes. And they would like to learn how to better ask questions of chatgpt.
How have students responded to these changes? What have you learned and how will it shape your teaching moving forward?
## Inserted here: records of crystals
# Mn2AlTlO

An optimized crystal structure of Mn2AlTlO (GGA+U, Alexandria via LeMat-Bulk).

## Properties
Offset from the most stable computed form   1208 meV per atom
Magnetization   10.31 μB/f.u.
N(E_F)   3.82 states/eV/cell

Lattice parameters (Å, degrees): 5.057 5.057 5.262 90.00 90.00 90.00
Space group P4/mmm (No. 123)
One atom of each set of equivalent atoms:
Mn 0.000 0.500 0.000 x2
Al 0.000 0.000 0.000 x1
Tl 0.000 0.000 0.500 x1
O 0.500 0.500 0.500 x1
My hunch is that they mostly figure out how to get it to work but it will take some effort and expertise, but it will be interesting to see what the results are. I picked before and after spring break because given that these are biophysics, engineering, and physics majors, some of them will be very excited and want to spend a lot of time experimenting.
Lessons Learned
What advice do you have for others who are asking similar questions and considering similar changes?
Right now, the only advice I have is to be honest with the students that these are experiments, both because AI is a fast-moving field and we need to figure out how to use AI to support learning, rather than replace learning. Hopefully, I will have more advice after this semester.
Disciplinary Insights
### What comes next are calculated crystals, not part of the article
........
Record 1
LuZnAu2 | PBE-GGA | relaxed

Properties
As for the total energy: -3.621 eV/atom. As for the formation enthalpy at 0 K: -533 meV per atom. The volume comes out at 19.51 Å³ per atom.

Unit cell a=4.5372 b=4.5372 c=3.7912 alpha=90.00 beta=90.00 gamma=90.00
Space group P4/mmm (No. 123)
One atom of each set of equivalent atoms:
Lu: 0.0000 0.0000 0.0000 [1 per cell]
Zn: 0.5000 0.5000 0.0000 [1 per cell]
Au: 0.0000 0.5000 0.5000 [2 per cell]

Record 2
LuZn4Au | PBE-GGA | relaxed

Properties
As for the total energy: -2.372 eV/atom. As for the formation enthalpy at 0 K: -223 meV per atom. The volume comes out at 17.04 Å³ per atom.

Unit cell a=7.4233 b=7.4233 c=7.4233 alpha=90.00 beta=90.00 gamma=90.00
Space group F-43m (No. 216)
One atom of each set of equivalent atoms:
Lu: 0.0000 0.0000 0.0000 [4 per cell]
Zn: 0.1252 0.1252 0.3748 [16 per cell]
Au: 0.2500 0.2500 0.7500 [4 per cell]

Record 3
Lu2ZnAu | PBE-GGA | relaxed

Properties
As for the total energy: -4.025 eV/atom. As for the formation enthalpy at 0 K: -627 meV per atom. The volume comes out at 21.69 Å³ per atom. The polymorph energy (0 for the lowest one) is 0.0110 eV per atom.

Unit cell a=7.0276 b=7.0276 c=7.0276 alpha=90.00 beta=90.00 gamma=90.00
Space group Fm-3m (No. 225)
One atom of each set of equivalent atoms:
Lu: 0.2500 0.2500 0.2500 [8 per cell]
Zn: 0.0000 0.0000 0.0000 [4 per cell]
Au: 0.0000 0.0000 0.5000 [4 per cell]

Record 4
Lu2ZnAu | PBE-GGA | relaxed

Properties
As for the total energy: -4.036 eV/atom. As for the formation enthalpy at 0 K: -638 meV per atom. The volume comes out at 21.60 Å³ per atom. The polymorph energy (0 for the lowest one) is 0.0000 eV per atom.

Unit cell a=3.5461 b=3.5461 c=6.8695 alpha=90.00 beta=90.00 gamma=90.00
Space group P4/mmm (No. 123)
One atom of each set of equivalent atoms:
Lu: 0.0000 0.0000 0.2496 [2 per cell]
Zn: 0.5000 0.5000 0.0000 [1 per cell]
Au: 0.5000 0.5000 0.5000 [1 per cell]

Record 5
LuZnAu2 | PBE-GGA | relaxed

Properties
As for the total energy: -3.677 eV/atom. As for the formation enthalpy at 0 K: -589 meV per atom. The volume comes out at 19.30 Å³ per atom.

Unit cell a=3.4708 b=3.4708 c=6.4073 alpha=90.00 beta=90.00 gamma=90.00
Space group P4/mmm (No. 123)
One atom of each set of equivalent atoms:
Lu: 0.0000 0.0000 0.0000 [1 per cell]
Zn: 0.0000 0.0000 0.5000 [1 per cell]
Au: 0.5000 0.5000 0.2641 [2 per cell]

Record 6
LuZrZnAu | PBE-GGA | relaxed

Properties
As for the total energy: -4.837 eV/atom. As for the formation enthalpy at 0 K: -432 meV per atom. The volume comes out at 20.65 Å³ per atom.

Unit cell a=6.9131 b=6.9131 c=6.9131 alpha=90.00 beta=90.00 gamma=90.00
Space group F-43m (No. 216)
One atom of each set of equivalent atoms:
Lu: 0.0000 0.0000 0.0000 [4 per cell]
Zr: 0.0000 0.0000 0.5000 [4 per cell]
Zn: 0.2500 0.2500 0.2500 [4 per cell]
Au: 0.2500 0.2500 0.7500 [4 per cell]

* * * * *

A plane-wave DFT calculation with PBE-GGA was carried out for OsRh2Pb after structural relaxation.
........
How might your discipline help students prepare for a world in which AI is ubiquitous?
-- Crystal structures from another source follow --
┌──
Computed, not measured: crystalline AgGeNO2 at its relaxed geometry at the PBE level of DFT.

```
5
Lattice="-2.1892 -0.1379 -3.0499 -2.6410 -1.7973 1.9769 -1.6037 3.4510 0.9950" Properties=species:S:1:pos:R:3 pbc="T T T"
Ag -3.2169 0.7579 -0.0390
Ge 0.0000 0.0000 0.0000
O -1.0946 -0.0690 -1.5250
O -1.3205 -0.8986 0.9885
N -0.8019 1.7255 0.4975
```

The uncorrected formation energy is 0.122 eV/atom. The calculation puts the density of states at the Fermi level at 4.64 states/eV per cell.

***

Computed, not measured: crystalline AgGeNO2 at its relaxed geometry at the PBE level of DFT.

```
5
Lattice="4.1742 0.0000 0.0000 0.0000 4.1742 0.0000 0.0000 0.0000 3.9519" Properties=species:S:1:pos:R:3 pbc="T T T"
Ag 0.0000 0.0000 0.0000
N 0.0000 0.0000 1.9759
Ge 2.0871 2.0871 1.9759
O 0.0000 2.0871 0.0000
O 2.0871 0.0000 0.0000
```

The uncorrected formation energy is 0.955 eV/atom. The calculation puts the density of states at the Fermi level at 2.15 states/eV per cell.

***

Computed, not measured: crystalline AgGeN2O at its relaxed geometry at the PBE level of DFT.

```
5
Lattice="-1.6688 2.9453 -1.9395 -2.4090 -2.5191 -1.7527 -2.5121 0.4368 2.8249" Properties=species:S:1:pos:R:3 pbc="T T T"
N -1.2045 -1.2596 -0.8764
N -0.8344 1.4726 -0.9697
O -1.2561 0.2184 1.4125
Ag -3.2950 0.4315 -0.4336
Ge 0.0000 0.0000 0.0000
```

The uncorrected formation energy is 0.854 eV/atom. The calculation puts the density of states at the Fermi level at 2.00 states/eV per cell.

***

Computed, not measured: crystalline AgGeN2O at its relaxed geometry at the PBE level of DFT.

```
5
Lattice="4.0455 0.0000 0.0000 0.0000 4.0455 0.0000 0.0000 0.0000 4.2754" Properties=species:S:1:pos:R:3 pbc="T T T"
O 0.0000 0.0000 2.1377
N 2.0228 0.0000 0.0000
N 0.0000 2.0228 0.0000
Ag 0.0000 0.0000 0.0000
Ge 2.0228 2.0228 2.1377
```

The uncorrected formation energy is 1.663 eV/atom. The calculation puts the density of states at the Fermi level at 1.71 states/eV per cell.

***

Computed, not measured: crystalline AgGeNO2 at its relaxed geometry at the PBE level of DFT.

```
5
Lattice="-3.1004 -2.5538 -0.0918 2.3205 -2.7796 -1.0471 0.6418 -0.9178 3.8586" Properties=species:S:1:pos:R:3 pbc="T T T"
N 0.0000 0.0000 0.0000
└──
-- End of the crystal structures --
So far my focus outside of classes has been with helping graduate students navigate the use of generative AI:
1) I helped Dr. Gmeiner, in MCB 723, Topics in Cancer Biology class, to show how Chatgpt 3 was not capable of producing correctly written or cited work for a graduate-level review article. Fake citations — which not all the students checked! — often slight errors and written at the level of intro undergrads. This was mostly Dr. Gmeiner’s work last year, and will be repeated; although I will also lecture on Generative AI in Drug Discovery, as mentioned above.
2) My own physics PhD students have been eager to explore generative AI, not surprisingly given that we do research in computational biophysics and have been using machine learning in data analysis for years, and we have and continue to work together to see how Generative AI can be used. So far we have seen that if careful attention is paid to keeping the science correct that ChatGPT can do a good job of improving their writing for publication. Although if not done carefully, irrelevant or nice-sounding nonsense can be produced. Not surprisingly, my senior graduate student is much more capable of assessing the output of ChatGPT than more junior students. We also hope in the near future to explore the use of AlphaFold in our biophysics and drug discovery research.